Can Armour Thyroid Really Help in Losing Weight?

_Misplaced materials data_
(1)
ZrMn2Bi2: PBEsol geometry, SCAN.

## Properties
Energy of formation: 0.05 eV per atom
Crystal system: tetragonal

a = 7.727 Å, b = 7.727 Å, c = 7.727 Å
α = 151.56°, β = 151.56°, γ = 40.66°
Sites, in units of the cell vectors:
Zr: 0.000 0.000 0.000
Mn: 0.250 0.750 0.500
Mn: 0.750 0.250 0.500
Bi: 0.389 0.389 0.000
Bi: 0.611 0.611 0.000



(2)
Be2CdGe: PBEsol geometry, SCAN.

## Properties
Energy of formation: 0.46 eV per atom
Crystal system: tetragonal

a = 8.018 Å, b = 8.018 Å, c = 8.018 Å
α = 150.18°, β = 150.18°, γ = 42.68°
Sites, in units of the cell vectors:
Be: 0.375 0.245 0.370
Be: 0.755 0.125 0.130
Be: 0.875 0.005 0.630
Be: 0.995 0.625 0.870
Cd: 0.250 0.750 0.500
Cd: 0.500 0.500 0.000
Ge: 0.000 0.000 0.000
Ge: 0.750 0.250 0.500



(3)
LiPW2: PBEsol geometry, SCAN.

## Properties
Energy of formation: 0.11 eV per atom
Crystal system: tetragonal

a = 3.166 Å, b = 3.166 Å, c = 5.412 Å
α = 90.00°, β = 90.00°, γ = 90.00°
Sites, in units of the cell vectors:
Li: 0.000 0.000 0.000
P: 0.500 0.500 0.227
W: 0.000 0.000 0.481
W: 0.500 0.500 0.746



(4)
Sr3MgRh: PBEsol geometry, SCAN.

## Properties
Energy of formation: -0.11 eV per atom
Crystal system: cubic

a = 5.738 Å, b = 5.738 Å, c = 5.738 Å
α = 90.00°, β = 90.00°, γ = 90.00°
Sites, in units of the cell vectors:
Sr: 0.000 0.000 0.500
Sr: 0.000 0.500 0.000
Sr: 0.500 0.000 0.000
Mg: 0.500 0.500 0.500
Rh: 0.000 0.000 0.000



(5)
TiNbBi3: PBEsol geometry, SCAN.

## Properties
Energy of formation: 0.80 eV per atom
Crystal system: cubic

a = 5.416 Å, b = 5.416 Å, c = 5.416 Å
α = 90.00°, β = 90.00°, γ = 90.00°
Sites, in units of the cell vectors:
Ti: 0.000 0.000 0.000
Nb: 0.500 0.500 0.500
Bi: 0.000 0.500 0.500
Bi: 0.500 0.000 0.500
Bi: 0.500 0.500 0.000



(6)
Sc2CdC: PBEsol geometry, SCAN.

## Properties
Energy of formation: 0.85 eV per atom
Crystal system: trigonal

a = 9.180 Å, b = 9.180 Å, c = 9.180 Å
α = 20.61°, β = 20.61°, γ = 20.61°
Sites, in units of the cell vectors:
Sc: 0.078 0.078 0.078
Sc: 0.922 0.922 0.922
Cd: 0.500 0.500 0.500
C: 0.000 0.000 0.000



(7)
BeZnFe2: PBEsol geometry, SCAN.

## Properties
Energy of formation: -0.13 eV per atom
Crystal system: tetragonal
Energy relative to the lowest polymorph listed for this composition: 0.00 kJ per mole of atoms

a = 2.501 Å, b = 2.501 Å, c = 6.730 Å
α = 90.00°, β = 90.00°, γ = 90.00°
Sites, in units of the cell vectors:
Be: 0.000 0.000 0.000
Zn: 0.000 0.000 0.500
Fe: 0.500 0.500 0.218
Fe: 0.500 0.500 0.782



(8)
ZrIrPtSe2: PBEsol geometry, SCAN.

## Properties
Crystal system: tetragonal
Formation energy without anion corrections: 0.5960 eV per atom

a = 4.679 Å, b = 4.679 Å, c = 5.063 Å
α = 90.00°, β = 90.00°, γ = 90.00°
Sites, in units of the cell vectors:
Zr: 0.000 0.000 0.000
Ir: 0.000 0.000 0.500
Pt: 0.500 0.500 0.000
Se: 0.000 0.500 0.500
Se: 0.500 0.000 0.500



(9)
Be2FeCu: PBEsol geometry, SCAN.

## Properties
Energy of formation: -0.16 eV per atom
Crystal system: tetragonal

a = 3.609 Å, b = 3.609 Å, c = 2.738 Å

If you are suffering from hypothyroidism, losing weight can become extremely tricky and difficult. You might be wondering, what has thyroid gland to do with weight gain or weight loss. You will be surprised to know that basically it is our thyroid gland which regulates the major metabolic functions of our body. Metabolism definition in simple terms is thus the rate at which our body breaks down food and utilizes nutrients for energy and other processes.
While, it is easy to lose or gain weight when your thyroid gland is functioning normally, just by training your metabolic system for the same, in case you are suffering from some sort of thyroid disorder like hypothyroidism or hyperthyroidism, losing or gaining weight becomes highly difficult without thyroid hormone replacement therapy.
Before, we understand what is thyroid hormone replacement therapy and how it can help in losing weight, lets first understand about hypothyroidism symptoms and treatment. Hypothyroidism is a disorder of the thyroid gland when thyroid either completely stops its production of hormones or releases too less thyroid hormones for the efficient and proper functioning of the thyroid gland resulting in sluggish metabolism.
The various symptoms of hypothyroidism are dry skin, brittle nails, hair loss, weight gain, fatigue, loss of concentration, depression etc. So, in case apart from your weight gain, you are also suffering from any of these afore mentioned hypothyroidism symptoms, you must seek proper hypothyroidism treatment to help get rid of excessive weight and discomforting symptoms.
While, thyroid hormone replacement therapy is the most often prescribed treatment for hypothyroidism, it is generally of two types, synthetic hormone replacement therapy and natural supplements. Although, natural supplements like armour thyroid are better over the synthetic thyroid hormone medicines like synthroid owing to the latter's side effects, sometimes the doctor may prescribe a combination of the two treatments depending on the individual condition.
However, if your main concern is to lose weight, natural supplements like armour thyroid along with proper diet and exercise regimen prove to be the best treatment for weight loss and thyroid disorder. Armour thyroid is made from the descicated pig's hormone and is completely free from any dangerous side effect as compared to synthetic hormones.
Moreover, this thyroid supplement for weight loss contains both the thyroid hormones T3 and T4 unlike the synthetic thyroid supplements, which contain only the hormone T4. This makes armour thyroid all the more effective for weight loss apart from treating hypothyroism naturally and efficiently.
Hi I am Deep a doing research on antiaging related topics and likes to write articles on Gerovital H3, deprenyl, Naltrexone, Human Growth Hormones, natural thyroid supplements & Sermorelin benefits, pregnenolone supplement.

1 comment:

  1. Found this through twitter. I made the switch to Armour Thyroid after many years of using Synthroid (synthetic hormone that's only T4) and my body just wasn't able to convert it into T3. I was only 13 years old and my hair was falling out, my metabolism was that of a 80 year old man. When I switched to the Armour Thyroid (dessicated thyroid) a few weeks there was an immediate change in mental behavior, my metabolism started to function properly.

    I cannot state enough how much of a difference this has made for me!
